Our Poker Future Can Be Found In The Past

Delving into cognitive psychology reveals that learning from past decisions, both good and bad, is vital for developing strategic approaches, especially in poker. Unfortunately, emotions, ego, and desires often interfere, distorting our memories and decisions. A common pitfall for players is validating incorrect decisions when they lead to positive outcomes, like misjudging a bet but still winning. The trick lies in being able to separate outcome and decision quality, learning even when luck is on our side.

Accept your mistakes

Recognizing and accepting mistakes is crucial in poker, as unchecked errors can escalate and significantly impact our game and bankroll. While one might feel vindicated by a successful outcome following a flawed decision, it’s pivotal to assess the correctness of the decision independently of its result. If not, the missteps multiply across numerous hands, potentially morphing into a costly and chronic problem. So, it’s imperative for all poker players, novices and veterans alike, to perpetually guard against allowing recollections of fortuitous outcomes to lead them into reckless future plays.

Don’t mistake bad play for a bad beat

Ensuring that we don’t mistakenly label poor strategy as a bad beat is vital. A thorough analysis of supposed bad beat stories often reveals them to be suboptimal plays, with players seeking sympathy over critique. Success in poker significantly hinges on how adeptly we interpret and utilize insights from our experiences. Thus, it’s essential to scrutinize the factors leading to past events without being swayed by the outcomes. Such an objective approach, devoid of ego, paves the way towards consistent improvement and rewards in the poker journey.

To show or not to show

Although dramatized in media, revealing hands in poker is a nuanced strategy, seldom used in online play due to the auto-muck option and the reluctance to unveil strategic information. However, the complexity of poker implies that revealing cards occasionally, and strategically, can serve a valuable purpose by providing opponents with curated information, potentially steering their subsequent decisions and strategies in a direction beneficial to us.


Revealing cards can sometimes be a tactic to mislead opponents during a session, providing them with carefully crafted information that suits our strategy, not theirs. For instance, after bluffing successfully for a while and eventually winning with a strong hand, choosing to show might reassure passive players of their folds. This apparent affirmation of their ‘safe’ strategy might encourage them to continue on the same path, even when it is built on incorrect assumptions.

Mind Games

Revealing hands can serve to manipulate opponents, guiding them down a specific gameplay path. It might be employed to sustain a style we are about to abandon, thereby leading opponents to anticipate our actions incorrectly. The aim is to embed misleading data into opponents’ mental narratives of our strategy, subsequently maneuvering the game towards a desirable direction.


While often resulting from an irresistible urge to showcase a bluff, revealing cards should ideally serve a strategic purpose. Demonstrating a bluff can rattle opponents psychologically, especially those prone to recklessness or tilt. It’s a legitimate strategy that can either stifle their gameplay or provoke recklessness. However, it’s vital that this strategy also allows for the possibility to bait a player into a call when we’re holding a strong hand, particularly when their patience wears thin.

Conclusion of Psychology in Poker

=====
# 1
## BaTi2Co (GGA-PBE)

Data for a geometry-optimized BaTi2Co structure.

a b c (Å): 6.679 6.679 6.679
angles (deg): 90.00 90.00 90.00
Space group Fm-3m (No. 225)
Symmetry-distinct sites (fractional):
Ba 0.000 0.000 0.000 x4
Ti 0.250 0.250 0.250 x8
Co 0.000 0.000 0.500 x4

Summary:
- E above lowest polymorph: 0.12 eV/f.u.
- Energy of formation from the pure elements: 0.82 eV/atom
- Magnetization: 0.00 μB/atom
- Crystal system: cubic

# 2
## BaTiCo3 (GGA-PBE)

Data for a geometry-optimized BaTiCo3 structure.

a b c (Å): 4.670 4.670 4.670
angles (deg): 90.00 90.00 90.00
Space group Pm-3m (No. 221)
Symmetry-distinct sites (fractional):
Ba 0.000 0.000 0.000 x1
Ti 0.500 0.500 0.500 x1
Co 0.000 0.000 0.500 x3

Summary:
- E above lowest polymorph: 7.40 eV/f.u.
- Energy of formation from the pure elements: 2.19 eV/atom
- Magnetization: 0.00 μB/atom
- Crystal system: cubic

# 3
## BaTi2Co (GGA-PBE)

Data for a geometry-optimized BaTi2Co structure.

a b c (Å): 5.464 5.464 15.035
angles (deg): 90.00 90.00 90.00
Space group I4_1/amd (No. 141, origin choice 2)
Symmetry-distinct sites (fractional):
Ba 0.000 0.250 0.375 x4
Ti 0.000 0.000 0.000 x8
Co 0.000 0.250 0.875 x4

Summary:
- E above lowest polymorph: 0.00 eV/f.u.
- Energy of formation from the pure elements: 0.79 eV/atom
- Magnetization: 0.48 μB/atom
- Crystal system: tetragonal

# 4
## Ba2TiCo (GGA-PBE)

Data for a geometry-optimized Ba2TiCo structure.

a b c (Å): 7.845 7.845 7.845
angles (deg): 90.00 90.00 90.00
Space group Fm-3m (No. 225)
Symmetry-distinct sites (fractional):
Ba 0.250 0.250 0.250 x8
Ti 0.000 0.000 0.000 x4
Co 0.000 0.000 0.500 x4

Summary:
- E above lowest polymorph: 1.92 eV/f.u.
- Energy of formation from the pure elements: 1.00 eV/atom
- Magnetization: 0.83 μB/atom
- Crystal system: cubic

# 5
## BaZrTi2Co (GGA-PBE)

Data for a geometry-optimized BaZrTi2Co structure.

a b c (Å): 4.809 4.809 5.991
angles (deg): 90.00 90.00 90.00
Space group P4/mmm (No. 123)
Symmetry-distinct sites (fractional):
Ba 0.000 0.000 0.000 x1
Zr 0.000 0.000 0.500 x1
Ti 0.000 0.500 0.500 x2
Co 0.500 0.500 0.000 x1

Summary:
- Energy of formation from the pure elements: 1.64 eV/atom
- Magnetization: 0.00 μB/atom
- Crystal system: tetragonal

# 6
## BaTlCo2 (GGA-PBE)

Data for a geometry-optimized BaTlCo2 structure.

a b c (Å): 4.5180 4.5180 17.0311
angles (deg): 90.00 90.00 120.00
Space group R-3m (No. 166, hexagonal axes)
Symmetry-distinct sites (fractional):
Ba 0.0000 0.0000 0.0000 x3
Tl 0.0000 0.0000 0.5000 x3
Co 0.0000 0.0000 0.1767 x6

Summary:
- Energy of formation from the pure elements: 0.23 eV/atom
- Magnetization: 0.61 μB/atom
- Crystal system: trigonal

* * * * *

{
  "formula": "MnSn2HOs",
  "functional": "PBE",
  "state": "relaxed",
  "lattice_angstrom": [[4.583, 0.000, 0.000], [0.000, 4.583, 0.000], [0.000, 0.000, 3.395]],
  "species": ["Mn", "Sn", "Sn", "H", "Os"],
=====
Back to the text =

Utilizing card revealing as a strategic tool is pivotal, and neglecting its potential advantages is impractical. Both new and experienced players should be vigilant in identifying suitable occasions to reveal their hands and ensure that it’s executed with a legitimate rationale behind it.

Have fun!

Author: AngusD
last updated 09.10.2023